........
This record from OMol25 describes C28H24ClN3O9STm as an isolated structure in a non-equilibrium geometry. The level of theory is ωB97M-V/def2-TZVPD.

The charge is -1. Its multiplicity is 3. The value obtained for the HOMO-LUMO gap (alpha / beta) is 7.116 / 7.126 eV. For the molar mass, the calculation gives 782.97 g/mol. The expectation value of S² is 2.002. For the HOMO energy (alpha / beta), the calculation gives -4.9 / -4.9 eV. As for the energy above the lowest of the compared OMol25 structures with the same formula, charge and spin: 4.747 eV. For the total energy, the calculation gives -105215.2569 eV.

Cartesian coordinates (Å):
Tm: 0.471 0.241 0.122
O: 2.208 -1.375 1.168
C: 3.279 -1.864 0.381
C: 3.515 -1.000 -0.884
N: 2.935 0.332 -0.711
C: 2.946 1.099 -1.955
C: 1.736 2.106 -2.036
O: 1.899 3.111 -2.709
O: 0.689 1.737 -1.433
C: 3.555 1.075 0.396
C: 2.524 1.394 1.479
O: 3.576 -0.092 2.838
O: 1.505 2.030 1.216
H: 2.722 -0.953 1.993
H: 3.036 -2.889 0.076
H: 4.189 -1.892 0.994
H: 2.998 -1.466 -1.725
H: 4.593 -0.951 -1.109
H: 2.816 0.416 -2.799
H: 3.886 1.650 -2.096
H: 3.922 2.045 0.041
H: 4.376 0.512 0.848
O: -0.911 1.558 4.306
S: 0.081 0.771 3.558
O: 2.724 1.009 2.706
N: -0.621 0.192 2.152
C: -1.980 0.168 2.121
C: -2.787 -0.256 3.177
C: -4.172 -0.178 3.112
C: -4.817 0.369 2.028
C: -4.062 0.817 0.933
C: -4.630 1.459 -0.186
C: -3.817 1.906 -1.193
C: -2.437 1.667 -1.116
N: -1.870 1.060 -0.094
C: -2.644 0.672 0.946
C: 0.165 -0.757 4.594
C: 0.089 -2.031 4.062
C: 0.064 -3.123 4.915
C: 0.149 -2.940 6.286
C: 0.261 -1.661 6.810
C: 0.275 -0.569 5.961
H: -2.315 -0.661 4.058
H: -4.754 -0.530 3.952
H: -5.891 0.480 2.006
H: -5.702 1.609 -0.224
H: -4.226 2.448 -2.033
H: -1.768 1.990 -1.906
H: 0.019 -2.154 2.988
H: -0.035 -4.122 4.512
H: 0.118 -3.795 6.949
H: 0.321 -1.519 7.879
H: 0.336 0.439 6.343
Cl: -3.396 -2.608 -5.719
C: -2.207 -2.119 -4.556
C: -0.952 -1.684 -5.009
C: 0.002 -1.301 -4.116
C: -0.230 -1.316 -2.701
O: 0.667 -0.966 -1.881
C: -1.520 -1.803 -2.275
C: -1.779 -1.954 -0.881
O: -0.981 -1.725 0.033
C: -2.486 -2.188 -3.220
H: -0.757 -1.660 -6.071
H: 0.972 -0.973 -4.456
H: -2.785 -2.347 -0.627
H: -3.440 -2.556 -2.875

* * * * *

Density functional theory data (ωB97M-V with the def2-TZVPD basis set) for C7H12AlN2O as an isolated structure.

The geometry in XYZ format:
```
23
Properties=species:S:1:pos:R:3:forces:R:3
Al -0.690428 0.800453 -1.471006 -0.07 0.10 -0.19
O -2.255710 -0.851032 0.319711 -0.18 -0.10 0.06
N 3.239441 -0.181464 1.273103 -0.05 -0.08 0.09
N -0.725264 -0.308720 -2.986821 -0.05 -0.02 0.35
C -1.840832 -0.880943 1.650908 0.13 0.03 0.04
C 0.965900 0.381517 -0.378780 0.10 -0.03 0.16
C 2.682027 -1.111187 0.496423 -0.09 0.06 -0.17
C 1.583185 -0.875577 -0.323371 0.00 -0.04 0.05
C 2.655576 1.016880 1.252566 -0.07 0.20 -0.03
C 1.552186 1.334687 0.469761 0.06 -0.17 -0.09
C -2.275908 0.496356 -0.236732 0.28 0.06 -0.03
H -3.243541 0.601329 -0.747807 0.02 0.03 0.07
H -2.272850 1.222823 0.593269 -0.15 -0.04 -0.04
H -1.870268 -1.919873 1.994937 0.02 0.06 -0.04
H 1.153019 2.345403 0.514765 0.03 -0.05 0.00
H -1.666019 -0.387327 -3.364146 0.07 -0.01 -0.09
H 1.199728 -1.702454 -0.919198 0.06 0.07 0.04
H 3.143830 -2.097390 0.521895 -0.01 0.07 0.01
H -0.464346 -1.261755 -2.745656 0.01 0.00 -0.11
H -0.655133 2.384574 -1.878484 -0.03 -0.01 0.03
H -2.502459 -0.278359 2.298150 0.05 -0.04 -0.05
H 3.100236 1.775588 1.898012 -0.01 -0.09 -0.06
H -0.812370 -0.503530 1.768500 -0.10 -0.01 0.02
```
Positions in Å, forces in eV/Å.

## Properties
DFT total energy: -19079.792 eV
charge: -1
F_max: 0.35 eV/Å
LUMO level: 0.1305 hartree

Quick look at the natural (NBO) charges, all values in e:
1. Al 1.442
2. O -0.583
3. N -0.466
4. N -1.381
5. C -0.236
6. C -0.409
7. C 0.007
8. C -0.275
9. C 0.006
10. C -0.275
11. C -0.609
12. H 0.168
13. H 0.156
14. H 0.167
15. H 0.203
16. H 0.348
17. H 0.195
18. H 0.168
19. H 0.346
20. H -0.449
21. H 0.141
22. H 0.167
23. H 0.168

---
........
What is needed: count the lines further above that contain the word "expectation" and give the number alone.
1